Industry-wide price uniform pricing practices in South Africa – a possible contravention of competition law


Nick Altini, Partner and Head of the Competition Practice at Baker McKenzie in Johannesburg

The South African Competition Commission’s recent price fixing investigations should serve as a warning to businesses in industries that practice across the board, uniform pricing. When an industry body advocates fixed prices and members of that body agree to charge those prices, they have likely committed an act of price fixing and could be guilty of contravening the Competition Act. Uniform pricing is usually only acceptable when pricing is regulated, for example with petrol prices.

In order for price fixing and collusion to have taken place, there must either be an agreement between competitors (and “agreement” is widely defined in the Competition Act), or a concerted practice. A concerted practice occurs when businesses knowingly follow each other on pricing, or when they coordinate on pricing without agreement, but their independent behaviour is superseded by some of sort of behaviour the industry expects, and they toe that line.

Members of the South African Football Intermediaries Association (SAFIA) and the Institute for Market Agents of South Africa (IMASA), currently face charges of price fixing and fixing trading conditions.

The Competition Commission is investigating SAFIA and 36 of its members in relation to the fixing of pricing and trading conditions in representing football clients. SAFIA is an industry body for sports agents who manage football players and coaches. According to the Commission, SAFIA members agreed to charge soccer players and coaches a standard 10% commission fee when negotiating and concluding contracts on their behalf.

The Commission also recently referred 14 fresh produce market agents belonging to IMASA to the Competition Tribunal, after carrying out an investigation into how these agents pay farmers.  They noted that the 50-year-old practice of agents charging fixed commissions to farmers amounted to price fixing.

-- The text is interrupted by records of crystals --
'''
(1)
Theoretical X-ray diffraction stick pattern of KCSN for Cu Ka, from DFT lattice parameters and positions (GGA-PBE).

Cell and atoms:
```
data_KCSN
_space_group_name_H-M_alt 'I m a 2'
_space_group_IT_number 46
_space_group_name_Hall 'I 2 -2a'
_cell_length_a 7.910
_cell_length_b 6.759
_cell_length_c 6.751
_cell_angle_alpha 90.00
_cell_angle_beta 90.00
_cell_angle_gamma 90.00
loop_
_atom_site_label
_atom_site_type_symbol
_atom_site_fract_x
_atom_site_fract_y
_atom_site_fract_z
K1 K 0.000 0.000 0.000
C1 C 0.250 0.023 0.523
S1 S 0.250 0.650 0.851
N1 N 0.250 0.146 0.649
```

Top 6 peaks for 2θ = 15–90°, in order of rising 2θ:
2θ (°)  d [Å]  I/Imax
26.39  3.377  22
29.32  3.046  100
31.71  2.822  47
34.93  2.568  26
37.67  2.388  15
42.31  2.136  24

(2)
Theoretical X-ray diffraction stick pattern of KCSN for Cu Ka, from DFT lattice parameters and positions (GGA-PBE).

Cell and atoms:
```
data_KCSN
_space_group_name_H-M_alt 'P b c m'
_space_group_IT_number 57
_space_group_name_Hall '-P 2c 2b'
_cell_length_a 6.516
_cell_length_b 11.139
_cell_length_c 6.480
_cell_angle_alpha 90.00
_cell_angle_beta 90.00
_cell_angle_gamma 90.00
loop_
_atom_site_label
_atom_site_type_symbol
_atom_site_fract_x
_atom_site_fract_y
_atom_site_fract_z
K1 K 0.228 0.113 0.250
C1 C 0.252 0.515 0.250
S1 S 0.100 0.104 0.750
N1 N 0.354 0.603 0.250
```

Top 6 peaks for 2θ = 15–90°, in order of rising 2θ:
2θ (°)  d [Å]  I/Imax
15.76  5.624  74
15.91  5.570  40
25.13  3.544  44
27.53  3.240  100
31.90  2.805  36
34.78  2.580  60

(3)
Theoretical X-ray diffraction stick pattern of KCSN for Cu Ka, from DFT lattice parameters and positions (GGA-PBE).

Cell and atoms:
```
data_KCSN
_space_group_name_H-M_alt 'P b c m'
_space_group_IT_number 57
_space_group_name_Hall '-P 2c 2b'
_cell_length_a 7.832
_cell_length_b 8.011
_cell_length_c 6.754
_cell_angle_alpha 90.00
_cell_angle_beta 90.00
_cell_angle_gamma 90.00
loop_
_atom_site_label
_atom_site_type_symbol
_atom_site_fract_x
_atom_site_fract_y
_atom_site_fract_z
K1 K 0.244 0.003 0.250
C1 C 0.188 0.563 0.250
S1 S 0.331 0.088 0.750
N1 N 0.086 0.674 0.250
```

Top 6 peaks for 2θ = 15–90°, in order of rising 2θ:
2θ (°)  d [Å]  I/Imax
22.19  4.005  49
22.71  3.916  53
26.39  3.377  100
31.96  2.800  39
34.74  2.582  31
41.91  2.155  33

(4)
Theoretical X-ray diffraction stick pattern of KCSN for Cu Ka, from DFT lattice parameters and positions (GGA-PBE).

Cell and atoms:
```
data_KCSN
_space_group_name_H-M_alt 'P b c m'
_space_group_IT_number 57
_space_group_name_Hall '-P 2c 2b'
_cell_length_a 6.850
_cell_length_b 6.703
_cell_length_c 7.767
_cell_angle_alpha 90.00
_cell_angle_beta 90.00
_cell_angle_gamma 90.00
loop_
_atom_site_label
_atom_site_type_symbol
_atom_site_fract_x
_atom_site_fract_y
_atom_site_fract_z
K1 K 0.199 0.250 0.000
C1 C 0.232 0.713 0.250
S1 S 0.395 0.610 0.750
N1 N 0.112 0.584 0.250
```

Top 6 peaks for 2θ = 15–90°, in order of rising 2θ:
2θ (°)  d [Å]  I/Imax
29.28  3.050  14
29.61  3.017  100
31.51  2.839  25
'''

The Commission’s interest in industry-body related price fixing cases is not new. The Commission is in the process of concluding a long running case against media owners who sell advertising space. The media owners are alleged to be guilty of “the fixing of prices or fixing of trading conditions in contravention of the Competition Act” because they had agreements to offer similar discounts and payment terms to advertising agencies.

As far back as 2004, the Commission investigated fixed estate agency commissions and found that the Institute of Estate Agents of South Africa had contravened the Competition Act, by indirectly fixing the selling prices of services rendered by estate agents.

Industry participants being investigated for price fixing might argue that they don’t agree to fixed pricing rules, but insist they do it this way because it is always the way they have done business, including long before the Competition Act came into effect. This might be a mitigating factor, but the Competition Commission will argue that competition law has existed in South Africa for 17 years. It is not good enough for a business to say it knew the price it always charges was the same as its competitors, but it thought it was ok because an industry body said it should charge that price. The Commission would argue that by now, businesses should know better.

In terms of a trend developing in industry-wide price fixing cases, when it comes to price fixing, the Commission often reacts to information put before it and is most likely not deliberately going after industry-body driven price fixing cases. However, the Commission will probably be more on the lookout for these kinds of cases going forward.

As such, if businesses are operating within an industry norm that amounts to fixed prices or trading conditions, they should be asking themselves if they could be charging a different price to be more competitive and what is stopping them from doing that. They should be making independent, unilateral pricing decisions based on what is best for their business and not the industry.